Wednesday, May 11, 2011

These data records were left in the entry by mistake:
1.
The following is a PBE calculation of a geometry-optimized Sm2AlPtO6 structure, from Alexandria.

Cell lengths 5.323, 8.236, 5.722 Å; angles 90.00, 90.00, 90.00 degrees
Fractional positions:
Sm (0.250, 0.039, 0.205)
Sm (0.250, 0.461, 0.205)
Sm (0.750, 0.539, 0.795)
Sm (0.750, 0.961, 0.795)
Al (0.250, 0.750, 0.779)
Al (0.750, 0.250, 0.221)
Pt (0.250, 0.250, 0.706)
Pt (0.750, 0.750, 0.294)
O (0.009, 0.250, 0.982)
O (0.017, 0.250, 0.425)
O (0.250, 0.523, 0.806)
O (0.250, 0.977, 0.806)
O (0.483, 0.250, 0.425)
O (0.491, 0.250, 0.982)
O (0.509, 0.750, 0.018)
O (0.517, 0.750, 0.575)
O (0.750, 0.023, 0.194)
O (0.750, 0.477, 0.194)
O (0.983, 0.750, 0.575)
O (0.991, 0.750, 0.018)

Computed properties:
DOS at the Fermi energy ... 0.124 states/eV per atom
ρ ... 8.19 Mg/m³
Formation energy without anion corrections ... -2310 meV per atom
Calculated total energy ... -7.2075 eV/atom
Size of the total moment ... 0.096 μB/atom

2.
The following is a PBE calculation of a geometry-optimized Sr2AlPtO6 structure, from Alexandria.

Cell lengths 9.937, 9.937, 9.937 Å; angles 32.61, 32.61, 32.61 degrees
Fractional positions:
Sr (0.126, 0.126, 0.126)
Sr (0.285, 0.285, 0.285)
Sr (0.715, 0.715, 0.715)
Sr (0.874, 0.874, 0.874)
Al (0.000, 0.000, 0.000)
Al (0.500, 0.500, 0.500)
Pt (0.410, 0.410, 0.410)
Pt (0.590, 0.590, 0.590)
O (0.145, 0.613, 0.613)
O (0.198, 0.198, 0.719)
O (0.198, 0.719, 0.198)
O (0.281, 0.802, 0.802)
O (0.387, 0.387, 0.855)
O (0.387, 0.855, 0.387)
O (0.613, 0.145, 0.613)
O (0.613, 0.613, 0.145)
O (0.719, 0.198, 0.198)
O (0.802, 0.281, 0.802)
O (0.802, 0.802, 0.281)
O (0.855, 0.387, 0.387)

Computed properties:
DOS at the Fermi energy ... 0.477 states/eV per atom
ρ ... 6.46 Mg/m³
Formation energy without anion corrections ... -2061 meV per atom
Calculated total energy ... -6.3507 eV/atom
Size of the total moment ... 0.000 μB/atom

3.
The following is a PBE calculation of a geometry-optimized SrAlPt2O structure, from Alexandria.

Cell lengths 4.529, 4.529, 4.571 Å; angles 90.00, 90.00, 90.00 degrees
Fractional positions:
Sr (0.000, 0.000, 0.000)
Al (0.500, 0.500, 0.000)
Pt (0.000, 0.500, 0.500)
Pt (0.500, 0.000, 0.500)
O (0.000, 0.000, 0.500)

Computed properties:
DOS at the Fermi energy ... 0.654 states/eV per atom
ρ ... 9.22 Mg/m³
Formation energy without anion corrections ... -261 meV per atom
Calculated total energy ... -4.7539 eV/atom
Size of the total moment ... 0.000 μB/atom

4.
The following is a PBE calculation of a geometry-optimized SrAlPtO4 structure, from Alexandria.

Master of Science

Ok, so I haven't posted in quite sometime. I blame the craziness of this last semester. The other day I was talking to my internship supervisor and told her about how many hours I was working while doing school and her response was "How did you keep from going insane?" I have to admit, there was a few weeks this semester where I really thought I wasn't going to make it and was going crazy. There was one week where I was sick 4 days in a row with what I think was a migraine. It had to be stressed reduced. And then after those 4 days, the next couple weeks I'd miss work here and there because another migraine would come on. I seriously didn't know if I was going to make it through.

But I made it. Last Friday they called my name, I walked across the stage and shook the president's hand. I felt like a huge weight had been lifted off my shoulders. Granted, I still have quite a bit of internship hours I have to complete this summer before my degree can be conferred, but I'm done with classes. No more papers or tests or required readings. It's an amazing feeling!

My boss got me a graduation present. It was a very cute decoracted pillow with the verse Proverbs 3:5. "Trust in the Lord with all your heart"

If I think about what got me through these last two years, I know it was God. There were moments of doubt, but the more I struggled, the more purposeful I was in placing my trust in Him. I will always have to trust in Him no matter where I am on this journey of life. I made it through grad school with His help, and I know I can make it through whatever else I face in life because He will be there to lift me up and carry me.

1 Corinthians 10:13 tells me that He'll never let me be pushed past my limit. I really like the Message version of this verse:
No test or temptation that comes your way is beyond the course of what others have had to face. All you need to remember is that God will never let you down; he'll never let you be pushed past your limit; he'll always be there to help you come through it.

Here the piece breaks off for data records.
____________
Record 1
First-principles (PBE) data for NaCa3Y3Te8 after structural relaxation, as listed in Alexandria via LeMat-Bulk.

Energy relative to the elements, uncorrected ... -21.12 eV/f.u.

Lattice parameters (Å, degrees): 8.905 8.905 8.905 59.64 59.64 59.64
Element x y z (fractional)
Na  0.000  0.000  0.000
Ca  0.000  0.000  0.500
Ca  0.000  0.500  0.000
Ca  0.500  0.000  0.000
Y  0.000  0.500  0.500
Y  0.500  0.000  0.500
Y  0.500  0.500  0.000
Te  0.252  0.252  0.252
Te  0.255  0.255  0.736
Te  0.255  0.736  0.255
Te  0.264  0.745  0.745
Te  0.736  0.255  0.255
Te  0.745  0.264  0.745
Te  0.745  0.745  0.264
Te  0.748  0.748  0.748

***

Record 2
First-principles (PBE) data for CsAc4Pb5 after structural relaxation, as listed in Alexandria via LeMat-Bulk.

Formation energy ... -0.40 eV/atom

Lattice parameters (Å, degrees): 4.414 4.414 19.913 90.00 90.00 90.00
Element x y z (fractional)
Cs  0.000  0.000  0.000
Ac  0.000  0.000  0.217
Ac  0.000  0.000  0.405
Ac  0.000  0.000  0.595
Ac  0.000  0.000  0.783
Pb  0.500  0.500  0.138
Pb  0.500  0.500  0.310
Pb  0.500  0.500  0.500
Pb  0.500  0.500  0.690
Pb  0.500  0.500  0.862

***

Record 3
First-principles (PBE) data for In2RhPb after structural relaxation, as listed in Alexandria via LeMat-Bulk.

Formation energy ... -0.01 eV/atom

Lattice parameters (Å, degrees): 7.056 7.056 7.056 154.16 140.97 47.41
Element x y z (fractional)
In  0.188  0.188  0.000
In  0.812  0.812  0.000
Rh  0.000  0.500  0.500
Pb  0.500  0.000  0.500

***

Record 4
First-principles (PBE) data for Sr6P2N after structural relaxation, as listed in Alexandria via LeMat-Bulk.

Energy relative to the elements, uncorrected ... -6.55 eV/f.u.

Lattice parameters (Å, degrees): 7.033 8.013 12.212 90.00 124.02 90.00
Element x y z (fractional)
Sr  0.104  0.043  0.238
Sr  0.104  0.457  0.738
Sr  0.223  0.706  0.064
Sr  0.223  0.794  0.564
Sr  0.369  0.163  0.066
Sr  0.369  0.337  0.566
Sr  0.631  0.663  0.434
Sr  0.631  0.837  0.934
Sr  0.777  0.206  0.436
Sr  0.777  0.294  0.936
Sr  0.896  0.543  0.262
Sr  0.896  0.957  0.762
P  0.298  0.108  0.748
P  0.298  0.392  0.248
P  0.702  0.608  0.752
P  0.702  0.892  0.252
N  0.000  0.000  0.000
N  0.000  0.500  0.500

***

Record 5
First-principles (PBE) data for YTcW after structural relaxation, as listed in Alexandria via LeMat-Bulk.

Relative energy among the computed polymorphs ... 1.275 eV/f.u.
Formation energy ... 0.38 eV/atom

Lattice parameters (Å, degrees): 4.559 4.559 3.136 90.00 90.00 120.00
Element x y z (fractional)
Y  0.000  0.000  0.000
Tc  0.667  0.333  0.362
W  0.333  0.667  0.595

***

Record 6
First-principles (PBE) data for ReBi3Br after structural relaxation, as listed in Alexandria via LeMat-Bulk.

Relative energy among the computed polymorphs ... 6.357 eV/f.u.
Energy relative to the elements, uncorrected ... 9.10 eV/f.u.

Lattice parameters (Å, degrees): 5.579 5.579 5.579 90.00 90.00 90.00
Element x y z (fractional)
Re  0.000  0.000  0.000
Bi  0.000  0.500  0.500
____________
End of the data records.

I have to admit that even thought I know those words to be true and I know nothing is impossible for God, while going through my struggles (especially this last semester) it was hard for me to really comprehend this. I knew it, but somehow, that wasn't enough for me to let go of the anxiety and stress that I had. Looking back, I can see exactly where God helped me through. Kind of like those footprints in the sand. While we go through those trials, it can seem that we have no help because we are focusing on the issues we face and not on God. Only after we make it through can we look back and see where He was. It's amazing the kind of patience God has. I mean, I would be upset if I'm helping people out while they keep asking me why I'm not helping or where I am. But He keeps helping us even when we don't notice.

Wednesday, January 5, 2011

Peace in the Uncertainty

As I prepare for my final semester of grad school, I constantly get asked one question: "Got any jobs lined up?"

This question takes many forms: "When are you moving back (refering to IL)?" "What jobs are you looking at?" "What will you be doing after graduation?"

Each time I'm asked this question, that place in the pit of my stomach develops this dull ache. Why do I get this ache? It's simple. I don't have an answer to this question. Well, technically I do because it is "I don't know."

It's a common question to ask a student who is about to graduate. If I weren't about to graduate myself, I'm sure I'd ask other people the same thing. In today's society (and economy), it's dumb not to plan. We all want financial security and we all want confidence in our future lives.

So where is all this anxiety coming from? Is it from not having a job lined up? Is it not sure what kind of job I want? Is it from wanting to move back home to be with my family and friends? Is it from wondering how much I'll miss all the great friends I've made here? Yeah, these questions all add to the anxiety, but they aren't the root. They are more or less the branches of the problem. The root of my anxiety can be traced to one question: "What if I miss God's plan for my life?" or even, "What is God's plan?"

God has always provided that next step in my life. What should I major in? Psychology. What school should I go to? Evangel. Should I stay at Evangel for Grad school? Yes. Where should I work while I'm in school? Here's a position at Evangel.

Sure some of those decisions were not the easiest to make. When I was deciding to stay at Evangel for Grad school, I was really unsure if that is what I wanted. As an undergrad, I was sooo homesick and beginning my senior year, I didn't even know how I would make it through that last year. God telling me I needed to stay resulted in me trying to figure out how I'd last for 2 more years being far away from home. In the end, I was able to make the decision to stay and found peace with it. I ultimately knew I wanted God's plan for my life which meant to stay. I knew He knew how I was feeling about missing my family and friends, but I also knew He would help me through. Looking back, I'd say my current anxiety level is 100 times worse than it was then.

Looking at it logically, trusting God should be easy. He's all powerful, all knowing. He also knows the best plan for your life. He's always going to take care of you. It wasn't that difficult for me in trusting God when it came to previous decision about the next step in my life. I think it was because I knew that next step. Now is a different story. I don't know the next step. Taking a look at all of the stories in the Bible, I should know I need to just place all my trust in God even more in this uncertainty.

I think that God might be using this time of uncertainty to teach me just that. Trust Him. I'm reminded of Abraham and his uncertainty of the future. God just told him to go. "Go." He didn't say where to, or how far. He just said "Go." I wonder if Abraham had this same feeling in the pit of his stomach that I have now... Abraham went, trusting in God. He didn't need to know where, or how far. God knew. I don't need to know where to go after graduation. God knows.

There should be peace in that knowledge. Peace that the all knowing and powerful and amazing and great and big God knows the plan He has laid out for me. I don't need to know. If I knew, maybe I'd be so excited about it that it would be all I could concentrate on. Maybe I wouldn't be focused on my last semester. Maybe I would be thinking so much about the future that I wouldn't take the time to enjoy the present and miss out on fun time with friends. Maybe there doesn't even need to be a reason for me to not know. He's God.

So for now, I'm working on handing over this anxiety and in return latching onto God's peace.

Philippians 4:6-7 "Do not be anxious about anything, but in every situation, by praryer and petition, with thanksgiving, presnt your request to God. And the peace of God, which transcends all understadnign , will guard your hearts and your minds in Christ Jesus."

1 Peter 5:7 "Cast all your anxiety on him because he cares for you."